How to use Essential Beard Oil.
Posted by Frank Sell on
Hey gang, we've had a few questions on how to use beard oil. If you're like me you have never grown a full beard before. What I've learned so far

Beat the street so hard they send you a bill for The Potholes.
Posted by Frank Sell on
Look, it's not just some cute or cliche I came up with. I lived it. Here's the deal, 15 years ago I quit my last job. I started a so-called career as a welder. I didn't choose the profession because I thought welders got all the hot chicks, I chose it because I knew I could always be employed. So I started on this path right out of high school. The last job I had I was 18 when I started there. It wasn't long after though the company was sold. What happens when a company gets sold? Well, we all know the axe comes out. One of the things to get axed was the current...

### Attached: quantum chemistry results
-- begin --
[1]
Formula: C30H40O6RuSe
Source: the OMol25 dataset
Level of theory: ωB97M-V with the def2-TZVPD basis set

Its expectation value of S² is 0.755. The energy above the lowest of the compared OMol25 structures with the same formula, charge and spin comes out at 64.4 kJ/mol. Its largest force on an atom is 5.225 eV/Å. Its spin multiplicity is 2. Its net charge is -1. The calculation puts the total energy at -111974.9870 eV. The calculation puts the LUMO energy (spin up / spin down) at 2.025 / 2.020 eV. Its HOMO energy (spin up / spin down) is -3.844 / -3.812 eV.

```
78
C30H40O6RuSe, DFT ωB97M-V with the def2-TZVPD basis set
Ru -0.806 1.563 -2.244
C -4.935 -2.201 2.970
C -3.403 -2.258 2.917
C -2.949 -3.719 3.020
C -2.857 -1.498 4.126
C -2.913 -1.660 1.604
C -2.062 -0.574 1.523
C -1.670 -0.090 0.276
Se -0.804 1.572 0.184
C 1.062 1.379 0.283
C 1.680 1.478 1.519
C 3.061 1.593 1.602
C 3.743 1.614 0.387
C 3.142 1.523 -0.865
C 1.741 1.412 -0.921
O 1.093 1.347 -2.076
C 4.067 1.558 -2.091
C 4.873 2.868 -2.076
C 5.042 0.371 -2.008
C 3.370 1.475 -3.453
C 3.744 1.729 2.958
C 3.260 3.012 3.647
C 5.266 1.801 2.832
C 3.394 0.523 3.840
C -2.103 -0.610 -0.922
O -1.732 -0.086 -2.081
C -2.969 -1.727 -0.866
C -3.336 -2.197 0.382
C -3.537 -2.454 -2.094
C -3.120 -1.887 -3.456
C -5.073 -2.409 -2.038
C -3.079 -3.923 -2.054
H -5.298 -2.587 3.925
H -5.285 -1.175 2.856
H -5.385 -2.798 2.175
H -3.274 -4.155 3.967
H -3.366 -4.321 2.212
H -1.862 -3.788 2.962
H -3.229 -1.955 5.045
H -1.766 -1.525 4.156
H -3.174 -0.454 4.118
H -1.690 -0.082 2.410
H 1.067 1.473 2.412
H 4.818 1.711 0.409
H 5.502 2.957 -1.190
H 5.522 2.915 -2.953
H 4.202 3.727 -2.102
H 5.666 0.414 -1.115
H 4.492 -0.571 -1.989
H 5.700 0.366 -2.879
H 2.703 2.318 -3.625
H 4.143 1.483 -4.225
H 2.782 0.566 -3.560
H 3.509 3.885 3.043
H 2.180 3.002 3.789
H 3.731 3.124 4.625
H 5.580 2.672 2.256
H 5.709 1.882 3.826
H 5.671 0.907 2.355
H 2.319 0.438 3.993
H 3.739 -0.402 3.376
H 3.868 0.615 4.819
H -4.006 -3.048 0.415
H -3.453 -0.860 -3.593
H -2.041 -1.900 -3.594
H -3.577 -2.506 -4.230
H -5.423 -1.376 -2.033
H -5.491 -2.907 -2.915
H -5.470 -2.903 -1.152
H -1.990 -3.982 -2.066
H -3.434 -4.438 -1.161
H -3.461 -4.456 -2.925
O -1.636 2.739 -6.207
C -1.496 2.469 -5.039
O -0.906 1.559 -4.349
C -2.348 3.640 -3.907
O -3.171 4.341 -4.437
O -1.856 3.463 -2.728
```


[2]
Formula: C30H41As3MnO2P
Source: the OMol25 dataset
Level of theory: ωB97M-V with the def2-TZVPD basis set

Its expectation value of S² is 6.131. Its largest force on an atom is 0.825 eV/Å. Its spin multiplicity is 5. Its net charge is +2. The calculation puts the total energy at -258981.4574 eV. The calculation puts the LUMO energy (spin up / spin down) at -7.428 / -6.679 eV. Its HOMO energy (spin up / spin down) is -13.204 / -13.204 eV.

```
78
C30H41As3MnO2P, DFT ωB97M-V with the def2-TZVPD basis set
Mn 0.833 0.116 0.391
C -2.726 1.320 0.558
As -1.594 -0.138 -0.009
C -2.076 -0.381 -1.862
C -2.467 -1.609 0.925
C -1.770 -2.972 1.050
C -1.137 -3.385 -0.282
-- stop --

Deer Hunting And Scent Covering Beard Oil
Posted by Frank Sell on
Did you know that essential oils can cover your scent for your next hunt? We had no idea until the idea popped into our head. Leave it to Google, as soon as we had the thought we hit the search button. Low and behold, essential oils can be used to help cover your scent. Cedar and Vetiver amongst other oils are listed as oils that help mask human scent. Now you can call in the two legged Bambi as well as that trophy buck. both compliments of a great facial forest by Baby Beard Club. Here's a link to a short article explainig.
Our first "How To" beard video.
Posted by Frank Sell on
Hey gang, we know how ya feel because we felt the same way! It's been about a year since I started growing a beard. In that time we've learned quite a bit about growing and taking care of a beard. We have had a few questions as well on how to use Essential Beard Oil. It's more than just a beard oil, it really is essential beard oil. All our formulas are designed to help with daily function wether you have a beard or not. Here's a short video explaining some beard basics.

{
  "formula": "C7H15FNO4",
  "method": "wB97M-V/def2-TZVPD",
  "homo_ev": -2.9,
  "lumo_ev": 3.0,
  "e_above_lowest_kj_mol": 0.0,
  "charge": -1,
  "e_tot_ha": -731.20317,
  "orbital_gap_ev": 5.95,
  "elements": ["F", "O", "O", "O", "O", "N", "C", "C", "C", "C", "C", "C", "C", "H", "H", "H", "H", "H", "H", "H", "H", "H", "H", "H", "H", "H", "H", "H"],
  "positions_angstrom": [[2.8629, 1.8061, 2.3501], [-2.3388, -0.6941, -1.5211], [4.2673, 1.3482, -0.2289], [3.0416, 1.9187, -0.6930], [-2.0160, 1.0842, -0.2816], [1.8171, 0.3558, 0.7536], [-1.0606, -0.9132, 0.5897], [1.6207, 1.3005, 1.7504], [0.8057, 2.5605, 1.4303], [-1.8087, -0.0893, -0.4221], [-2.0366, -2.0378, -1.8800], [2.0086, 0.9135, -0.5249], [-2.8997, -3.0349, -1.1329], [-0.6443, -1.8333, 0.1874], [0.2287, 2.8396, 2.3093], [0.0897, 2.3950, 0.6367], [-2.7303, -2.9838, -0.0582], [1.1227, 1.4011, -0.9575], [-3.9557, -2.8222, -1.3055], [-1.7467, -1.1556, 1.4051], [4.6407, 2.1060, 0.2419], [2.2722, 0.0919, -1.2012], [1.4439, 3.3932, 1.1698], [-2.6864, -4.0523, -1.4661], [1.1191, 0.7861, 2.5744], [-2.2489, -2.1012, -2.9475], [-0.9715, -2.2382, -1.7587], [-0.1967, -0.3446, 0.9805]],
  "lowdin_charge": [-0.14, -0.02, -0.07, -0.18, 0.10, -0.08, 0.00, -0.51, -0.06, -0.51, -0.25, -0.37, -0.08, 0.07, 0.06, 0.04, 0.06, 0.09, 0.08, 0.09, 0.08, 0.09, 0.06, 0.07, 0.10, 0.12, 0.11, 0.06]
}

{
  "formula": "CH11NO4",
  "method": "wB97M-V/def2-TZVPD",
  "homo_ev": -10.0,
  "lumo_ev": 0.9,
  "e_above_lowest_kj_mol": 164.6,
  "e_tot_ha": -400.35884,
  "smiles": "C=N.O.O.O.O",
  "orbital_gap_ev": 10.88,
  "elements": ["O", "O", "O", "O", "N", "C", "H", "H", "H", "H", "H", "H", "H", "H", "H", "H", "H"],
  "positions_angstrom": [[-1.0798, -1.0379, 0.1039], [-1.4593, 1.2831, 1.6207], [-0.8154, 0.2132, -2.2164], [-1.2135, 2.5256, -1.0253], [2.1222, -2.0907, 1.3762], [3.0000, -1.9217, 0.4756], [-1.0591, -0.6879, -0.8262], [4.0464, -1.6210, 0.5868], [2.6063, -2.2087, -0.4090], [-0.6603, 1.0356, -1.8851], [-2.1090, 1.1687, 2.2688], [-1.4750, 0.2614, -2.8976], [-0.3057, -1.1313, 0.5432], [-1.5675, 2.4302, -0.0612], [2.2931, -1.9224, 2.3770], [-1.4621, 0.3457, 1.0854], [-0.8612, 3.3580, -1.1169]],
  "lowdin_charge": [-0.04, -0.12, 0.00, -0.05, 0.02, -0.11, 0.03, 0.07, 0.02, -0.05, -0.01, 0.07, -0.04, 0.09, 0.05, 0.08, 0.00]
}

{
  "formula": "C26H32ClO4Zn",
  "method": "wB97M-V/def2-TZVPD",
  "homo_ev": -3.9,
  "lumo_ev": 2.2,
  "e_above_lowest_kj_mol": 0.0,
  "charge": -1,
  "e_tot_ha": -3550.35712,
  "orbital_gap_ev": 6.04,
  "elements": ["Zn", "Cl", "O", "O", "O", "O", "C", "C", "C", "C", "C", "C", "C", "C", "C", "C", "C", "C", "C", "C", "C", "C", "C", "C", "C", "C", "C", "C", "C", "C", "C", "C", "H", "H", "H", "H", "H", "H", "H", "H", "H", "H", "H", "H", "H", "H", "H", "H", "H", "H", "H", "H", "H", "H", "H", "H", "H", "H", "H", "H", "H", "H", "H", "H"],
-- End of the records of molecules --

Skinny Craig? WTH?
Posted by Frank Sell on
What the hell is Skinny Craig? Hey, we know it sounds out there but 1000's of years of using essential oils has shown that certain oils will actually help suppress appetite. The blend of essential oils in Skinny Craig are formulated with this in mind. Not only are they formulated for their therapeutic effect this is probably our sweetest smelling blend of oils. Don't just take our word for it, here's a link with details for you deataily type people. And of course a disciplined habit of eating good foods and getting off your ass helps too.
Baby Beard Club ruins Christmas!
Posted by Frank Sell on
Well, we wouldn't say ruins Christmas but maybe gets a head start. What can we say we just Get Shit Done around here and look good doing it. If you're ready to get a head start on that Facial Forest, you're just a couple clicks away. Check out a short video and revue here from Joseph.

== What comes next are calculated molecules, not part of the entry ==
Record 1
The following is a DFT calculation (ωB97M-V/def2-TZVPD) of a structure of composition C5H14O2Si.

CARTESIAN COORDINATES (ANGSTROEM)
C -0.31 0.74 -2.36
C -1.48 0.07 0.47
C 0.31 1.97 0.58
C 0.48 0.29 -1.21
C -0.12 0.57 0.15
O -0.38 -2.53 1.45
O 1.00 -0.39 1.25
Si 1.13 -2.00 1.38
H -1.19 0.24 -2.53
H 0.28 0.72 -3.31
H -0.51 1.80 -2.07
H -2.21 -0.19 -0.34
H -1.48 -0.80 1.17
H -1.98 0.87 1.04
H 1.37 1.81 0.84
H 0.11 2.70 -0.13
H -0.27 2.01 1.58
H 1.38 0.97 -1.10
H 0.83 -0.65 -1.22
H -0.76 -3.33 1.61
H 2.05 -2.44 0.11
H 1.75 -2.45 2.65

**HOMO energy**: -9.643 eV

***

Record 2
The following is a DFT calculation (ωB97M-V/def2-TZVPD) of an isolated molecule of C27H29N7OS.

CARTESIAN COORDINATES (ANGSTROEM)
C -0.61 -3.09 -0.49
C 0.22 -2.02 0.16
C -0.09 -1.50 1.38
C -1.29 -1.77 2.21
O -1.22 -2.40 3.25
N -2.46 -1.29 1.73
C -2.61 -0.44 0.57
C -3.48 0.79 0.93
N -3.38 1.07 2.34
C -2.16 1.61 2.78
C -1.40 1.07 3.81
C -0.23 1.69 4.23
C 0.21 2.85 3.63
C -0.55 3.41 2.61
C -1.71 2.80 2.19
C -4.02 0.02 3.10
C -3.65 -1.39 2.55
S 1.17 -0.51 2.07
C 2.17 -0.81 0.69
N 3.43 -0.40 0.61
C 4.05 -0.78 -0.48
N 3.50 -1.33 -1.55
C 2.20 -1.62 -1.53
N 1.64 -1.96 -2.73
C 0.29 -1.52 -3.03
C 0.35 -0.27 -3.95
N 1.60 0.43 -3.72
C 1.70 1.12 -2.53
C 2.86 1.81 -2.16
C 2.88 2.49 -0.96
C 1.75 2.50 -0.16
C 0.63 1.83 -0.63
N 0.60 1.16 -1.77
C 2.71 -0.34 -4.23
C 2.50 -1.84 -3.89
C 1.49 -1.56 -0.30
H -1.49 -2.69 -0.98
H -0.94 -3.79 0.27
H -0.01 -3.63 -1.23
H -3.09 -1.01 -0.25
H -1.63 -0.12 0.23
H -3.17 1.64 0.33
H -4.54 0.59 0.71
H -1.68 0.15 4.29
H 0.35 1.24 5.02
H 1.12 3.33 3.95
H -0.23 4.33 2.13
H -2.30 3.26 1.41
H -3.75 0.12 4.15
H -5.10 0.17 3.01
H -4.47 -1.79 1.93
H -3.44 -2.09 3.36
H 5.11 -0.57 -0.54
H -0.21 -1.23 -2.11
H -0.27 -2.33 -3.52
H 0.32 -0.55 -5.00
H -0.48 0.40 -3.72
H 3.73 1.82 -2.81
H 3.78 3.01 -0.65
H 1.73 3.00 0.79
H -0.29 1.82 -0.06
H 2.78 -0.21 -5.31
H 3.64 0.00 -3.77
H 3.45 -2.32 -3.66
H 2.01 -2.37 -4.71

**HOMO energy**: -7.777 eV

***

Record 3
The following is a DFT calculation (ωB97M-V/def2-TZVPD) of a structure of composition C5H9NO.

CARTESIAN COORDINATES (ANGSTROEM)
C -0.76 1.40 -0.52
C 0.29 0.41 0.03
C 1.01 -0.41 -1.00
C -0.69 -0.89 1.06
O -1.04 -1.97 0.30
C 1.09 0.95 1.11
N 1.64 1.30 2.07
H -1.48 0.82 -1.11
H -1.30 1.86 0.31
H -0.38 2.21 -1.16
H 0.85 -0.12 -2.04
H 0.55 -1.51 -1.07
H 2.06 -0.60 -0.77
H -0.02 -1.13 1.90
H -1.53 -0.24 1.33
H -0.29 -2.08 -0.45

**HOMO energy**: -9.917 eV

***

Record 4
The following is a DFT calculation (ωB97M-V/def2-TZVPD) of a cluster of 7 separate species, C23H44N9O18P2S in total.

CARTESIAN COORDINATES (ANGSTROEM)
C 3.40 -3.64 2.02
C 2.14 -2.87 2.44
O 1.83 -1.72 1.63
P 1.34 -1.99 0.14
O 2.50 -2.04 -0.77
C 0.46 -3.56 -0.05
C -0.88 -3.67 0.70
C -1.94 -2.88 -0.09
N -2.85 -2.09 0.79
N -2.20 -1.38 1.68
C -2.92 -0.64 2.47
P -1.95 0.30 3.73
O -0.55 0.45 3.35
O -2.05 -0.51 5.09
O -2.64 1.70 3.94
C -4.31 -0.54 2.43
C -5.09 0.34 3.35
C -4.94 -1.29 1.47
C -6.43 -1.22 1.31
C -7.17 -2.27 1.77
C -8.55 -2.23 1.64
C -9.05 -1.11 1.00

Top 3 Coolest Facts About Beards
Posted by Frank Sell on
1. In 1860, an 11-year-old girl named Grace Bedell wrote a letter to then-presidential hopeful Abraham Lincoln, encouraging him to grow a beard to attract more votes. “[Y]ou would look a great deal better for your face is so thin,” Miss Bedell wrote. “All the ladies like whiskers, and they would tease their husbands to vote for you and then you would be President.” By the time Lincoln left for the White House, he was fully bearded. 2. Talk about holding a grudge. Valentine Tapley, a Democrat from Missouri, vowed to never trim his beard if Abraham Lincoln, a Republican, won the presidency. When Honest Abe took office, Tapley stuck to his promise. At the time of his death, 50...